What to Say in a Phone Conversation

Many English students are nervous about talking on the phone and have a conversation in English. With telephone conversation, you don’t see the person you’re talking to. So, it’s easier to be misunderstood, or you could easily misunderstand the other person. Today we’ll learn about talking on the phone and understanding what the other person is saying.
-- begin --
87
Properties=species:S:1:pos:R:3 method="wB97M-V/def2-TZVPD" smiles=COC[C@H](C)N.OCCO.OCCO.OCCO.OCCO.OCCO.OCCO.OCCO mol_weight_g_mol=523.6 spin_multiplicity=1 fmax_ev_per_a=4.9 relative_energy_kcal_mol=27.1
C -9.64939 -17.84718 3.41881
O -10.75575 -17.01471 3.71870
C -10.62943 -15.73784 3.35270
C -11.96195 -15.07424 3.56858
C -11.95291 -13.56777 3.23467
N -12.37231 -15.13848 4.96048
H -9.99946 -18.82324 3.54181
H -8.79065 -17.57497 4.06009
H -9.21144 -17.66687 2.42462
H -9.89815 -15.16508 3.91928
H -10.32828 -15.70308 2.30819
H -12.73477 -15.61854 3.08076
H -11.77694 -13.35798 2.17024
H -11.21588 -12.99881 3.70476
H -12.96325 -13.10070 3.39090
H -12.19464 -16.12407 5.25747
H -11.71667 -14.51731 5.42060
O -18.06528 -14.12870 7.87863
C -19.43498 -14.31702 8.33237
C -20.19871 -13.02881 8.45807
O -20.71289 -12.55059 7.20527
H -17.99920 -14.54373 7.02133
H -20.01852 -14.98915 7.78325
H -19.32570 -14.81088 9.28506
H -19.49519 -12.30723 8.81583
H -20.95852 -13.05745 9.14207
H -20.10105 -11.83570 6.73554
O -14.41796 -11.25031 4.96002
C -14.33320 -10.39895 6.08149
C -15.23349 -9.21371 5.99980
O -14.93459 -8.43010 4.85979
H -14.34969 -10.73766 4.11313
H -14.59898 -11.05696 6.92647
H -13.37399 -9.97531 6.32961
H -15.09616 -8.59707 6.92230
H -16.27589 -9.57472 5.92424
H -15.72486 -8.12711 4.42865
O -14.87441 -14.19259 5.02794
C -15.03742 -14.72982 6.29446
C -15.84807 -16.02827 6.39542
O -17.15192 -15.87062 5.81110
H -13.90069 -14.37632 4.92517
H -14.04021 -14.99558 6.73316
H -15.60375 -14.07779 6.90170
H -16.08550 -16.31955 7.47153
H -15.38508 -16.84444 5.83257
H -16.97511 -15.72358 4.82225
O -17.00799 -11.50192 4.68351
C -17.76663 -12.68382 4.44899
C -19.19131 -12.22943 4.31139
O -19.48668 -11.12873 5.13639
H -16.14332 -11.71894 5.06354
H -17.50682 -13.15023 3.45547
H -17.62258 -13.33333 5.25648
H -19.82194 -13.11810 4.44820
H -19.42241 -11.96800 3.28592
H -18.63694 -10.71382 5.30925
O -15.81865 -10.65849 2.12897
C -16.56269 -9.77100 1.33163
C -16.55822 -8.28505 1.84126
O -17.18266 -8.12180 3.14247
H -16.28157 -10.82832 2.96971
H -15.94382 -9.75095 0.38117
H -17.57997 -10.14785 1.06323
H -17.16250 -7.75154 1.07601
H -15.50891 -7.89633 1.91069
H -18.12619 -8.29249 3.01423
O -17.29617 -8.61825 8.79055
C -17.91704 -9.64309 9.59653
-- stop --
The article goes on =
Common Phrases in a Phone Conversation
Here are common expressions and lines that you can use so you’ll have more confidence in talking on the phone.
A. The following expressions talk about raising the volume because their voice is too soft, and you can’t hear them well.
- “Could you speak a little louder, please?”
(This is a polite way of speaking because of the words: could and please.)
- “Sorry, what did you say?”
(This one is informal, which you can use when talking to friends.)
- “Please speak up. I can’t hear you very well.”
(This is also polite. And, ‘speak up’ means more volume.)
B. This sentence talks about slowing down because they talk too fast.
- “Please, could you speak slower?”
C. You use this sentence when you want them to repeat something because you did not quite get it. Common examples are when the other person gives you an email address, mailing address, contact or phone number, name of website or business, and name of a building. The spellings can be difficult and tricky.
- “Sorry, would you mind repeating the email address, please?”
(The phrase ‘would you mind’ is a nice way of asking someone to do something.)
- “Sorry, would you mind repeating the business name, please?”
D. You use these sentences when you don’t understand what the other person is saying.
What comes next are molecular data, not part of the piece:
-- begin --
12
Properties=species:S:1:pos:R:3:forces:R:3:mulliken_charge:R:1 method="wB97M-V/def2-TZVPD" total_charge=0 smiles="[H]/N=C/N.C=N" homo_lumo_gap_ev=9.69
N -1.43545 0.75554 -1.00939 -0.03 0.11 -0.21 -0.4248
N 2.43104 -1.59567 1.25581 -0.25 0.09 0.13 -0.6894
N 1.55977 -0.18229 -0.34843 0.08 -0.07 0.10 -0.4017
C -2.53270 1.05159 -0.45748 0.17 -0.21 0.05 -0.2884
C 1.53543 -0.76845 0.87939 0.24 0.03 0.05 0.0984
H 2.22684 -0.59136 -0.98302 -0.09 0.11 -0.15 0.2577
H 0.72251 -0.42290 1.52024 -0.10 0.01 -0.04 0.2695
H -3.34652 1.56972 -0.96402 -0.06 0.01 0.03 0.2248
H -2.68113 0.75198 0.57750 -0.08 0.12 0.04 0.2398
H 0.70937 0.22525 -0.70737 -0.02 -0.14 0.02 0.3062
H -1.43540 1.06281 -1.98366 0.04 0.03 0.04 0.1759
H 2.24625 -1.85622 2.22043 0.12 -0.09 -0.06 0.2319

113
Properties=species:S:1:pos:R:3:forces:R:3:lowdin_spin:R:1 method="wB97M-V/def2-TZVPD" total_charge=0 homo_lumo_gap_ev="6.75 / 6.76" multiplicity=2 s_squared=0.940
As 2.87939 -0.09051 0.43048 0.00 -0.07 0.02 0.0004
Mn -1.60797 -0.08843 -0.29887 0.11 -0.25 -0.33 1.0004
O -1.80474 -0.18223 -4.03743 0.07 -0.05 0.15 -0.0087
O -1.90538 -3.29498 2.18375 0.03 0.06 0.04 0.0015
N -5.75900 1.07461 0.08589 -0.04 -0.02 0.16 -0.0004
N 0.60391 3.83309 -1.40450 0.01 0.10 -0.17 -0.0007
N 1.35498 1.84055 -2.08937 -0.01 0.03 0.04 -0.0002
N -2.74572 -0.62301 -1.95505 -0.26 -0.20 -0.28 0.0037
N -4.60127 -0.29854 1.45560 -0.20 0.26 0.09 -0.0003
N -0.73536 1.89950 -0.95114 -0.23 0.14 -0.20 0.0032
N -3.32984 1.12050 0.12215 0.04 0.45 0.19 -0.0035
N -0.69416 -0.02866 1.50843 0.13 0.01 0.32 -0.0017
N -0.43985 -1.89975 -1.44676 0.02 0.32 -0.07 -0.0057
N -2.32088 -1.72886 0.50316 0.15 0.00 0.17 -0.0010
C 5.75915 -2.18020 -2.71287 0.00 -0.02 0.00 0.0000
C 1.87497 4.08564 -2.07785 0.05 0.02 0.03 -0.0001
C 3.14495 2.72182 0.95166 -0.02 0.01 0.04 0.0000
C 5.47973 -0.82344 -2.79788 0.01 0.02 0.01 0.0000
C -0.30673 -1.32205 3.48139 -0.01 -0.06 -0.05 -0.0006
C -3.94207 -3.54994 0.04911 0.04 0.02 0.00 0.0001
C -4.84093 -4.11941 -0.84417 0.00 -0.01 -0.01 0.0003
C 3.77928 3.92618 1.23370 0.00 -0.03 0.01 0.0000
C 0.99432 -3.73547 -1.95365 -0.06 0.02 -0.05 -0.0003
C -4.32781 -2.41266 -2.45537 0.02 0.00 0.01 0.0006
C -6.16741 2.41272 -0.31292 0.07 -0.03 -0.16 0.0000
C 3.87691 1.55739 0.75331 0.01 0.02 0.00 0.0001
C -3.23319 -2.40082 -0.30509 -0.06 -0.04 -0.06 0.0016
C -6.76052 0.34177 0.85790 0.02 -0.03 0.03 0.0000
C 2.72265 -2.29241 2.28962 -0.04 0.00 0.00 0.0000
C -0.01352 0.97840 2.06466 -0.02 -0.12 -0.08 0.0039
C -5.03042 -3.55638 -2.09745 -0.01 0.00 -0.01 -0.0003
C 2.89205 -2.98664 3.47866 -0.01 0.00 -0.01 0.0000
C 3.28990 -1.03403 2.10065 0.02 0.02 0.04 0.0001
C -1.89777 -0.83409 -3.00796 -0.08 0.40 0.20 -0.0031
C 0.31766 4.67025 -0.25152 0.02 0.00 0.10 0.0000
C 0.46427 -2.79975 -1.08061 0.03 -0.04 0.08 0.0007
C 0.40667 -0.28130 4.04403 0.02 0.08 -0.05 0.0028
C -4.48625 0.72256 0.52989 0.11 -0.26 -0.29 -0.0009
C 3.61687 -2.41608 4.51370 0.01 0.00 0.01 0.0000
C -3.17525 2.17172 -0.87916 0.08 -0.22 0.01 0.0011
-- stop --
- “I’m sorry, I didn’t quite catch that.”
(The phrase ‘catch that’ means you did not ‘get the meaning of that.’)
+++
(1)
Below is a structure of composition C6H4N2O2 in a non-equilibrium geometry, with properties calculated with ωB97M-V/def2-TZVPD.

Each line ends with the Löwdin charge.
Cartesian coordinates (Å):
C (0.81378, 1.24466, 0.35626)  -0.016
C (2.02898, 1.02851, -0.18825)  -0.035
C (0.00812, -1.16287, 0.21219)  0.034
C (1.29373, -1.40371, -0.24133)  -0.071
C (-0.21226, 0.26786, 0.35458)  -0.280
C (1.84737, -0.22848, -0.58673)  0.020
N (-1.36245, 0.74894, 0.04668)  0.174
N (-2.52422, 0.10459, 0.06255)  -0.470
O (-2.83434, -0.64524, 0.97492)  0.057
O (-3.20547, 0.33464, -0.91447)  0.076
H (0.63949, 2.34782, 0.39745)  0.147
H (2.71287, 1.73668, -0.40065)  0.086
H (-0.84721, -1.93477, 0.34854)  0.154
H (1.64160, -2.43862, -0.42173)  0.124

## Properties
- Expectation value of S²: 2.060
- Energy relative to the best compared isomer or geometry (same formula, charge and spin): 1.033 eV
- Frontier orbital gap (alpha / beta): 8.1 / 8.2 eV
- Maximum force: 7.11 eV/A
- Calculated total energy: -13352.3786 eV
- Multiplicity: 3

(2)
Below is a structure of composition C8H9NPdS2 in a non-equilibrium geometry, with properties calculated with ωB97M-V/def2-TZVPD.

Each line ends with the Löwdin charge.
Cartesian coordinates (Å):
Pd (-0.04755, 0.04162, -2.55646)  0.603
C (0.51820, -0.05151, -4.39931)  -0.337
H (1.60608, 0.08691, -4.43417)  -0.015
H (0.19365, -1.02097, -4.77161)  -0.026
H (-0.03723, 0.76139, -4.87463)  -0.029
H (-1.30982, 1.12720, -3.05128)  0.052
H (-1.19927, 1.33943, -2.28593)  0.055
S (0.04291, -2.40387, -1.95346)  0.612
C (-0.09506, -1.76770, -0.42478)  -1.160
N (0.00506, -0.44303, -0.27593)  -0.116
C (-0.00227, -0.00734, 1.04946)  -0.300
C (0.18062, 1.29803, 1.54497)  -0.028
C (0.21485, 1.51380, 2.92392)  -0.093
C (0.04099, 0.45662, 3.83735)  -0.092
C (-0.15344, -0.85581, 3.37790)  -0.094
C (-0.15966, -1.07463, 1.99503)  -0.463
S (-0.27825, -2.59913, 1.12952)  1.011
H (0.30800, 2.12482, 0.84233)  0.108
H (0.38525, 2.51480, 3.33147)  0.104
H (0.06743, 0.63744, 4.91667)  0.104
H (-0.28048, -1.67809, 4.07893)  0.106

## Properties
- Expectation value of S²: 2.009
- Energy relative to the best compared isomer or geometry (same formula, charge and spin): 1.477 eV
- Frontier orbital gap (alpha / beta): 7.6 / 5.6 eV
- Maximum force: 3.39 eV/A
- Calculated total energy: -35078.8481 eV
- Multiplicity: 3

(3)
Below is a cluster of 2 separate species, C16H27ClN2O7P in total in a non-equilibrium geometry, with properties calculated with ωB97M-V/def2-TZVPD.

Each line ends with the Löwdin charge.
Cartesian coordinates (Å):
C (-1.34465, -2.99461, 1.25190)  -0.118
C (-1.74716, -2.05304, 2.53180)  -0.374
C (-3.40839, -2.15947, 2.69614)  -0.129
C (-1.43775, -0.49724, 2.12177)  -0.174
C (0.11116, -0.01037, 2.33531)  -0.295
C (0.77425, -0.47771, 3.78613)  -0.098
C (1.16382, -0.49253, 1.17532)  -0.163
O (0.58813, -0.65156, -0.16810)  -0.229
C (0.91185, 0.47432, -1.05766)  -0.371
C (2.52470, 0.52531, -1.49807)  -0.073
N (3.79982, 0.75048, -1.50980)  0.183
+++
The quantum chemistry results stop here.
- “Did you say that Mr. Smith’s office is on the sixth floor, not the fifth?”
- “Did you say that the wedding is on the 13th and not the 30th?
(So, there’s a bit of confusion because the words 30 and 13 sound almost the same, and you ask to clarify which one is it.)
- “You said… Is that right?”
- “You said you don’t deliver pasta, only pizza. Is that right?”
- “You said… Did I hear you right?”
If you are in a business setting and did not quite understand what was said on the phone, you can always follow up with an email. This is to check that you got the right details.
You can write:
Hello, Mr. Atkins.
We had a conversation on the phone yesterday.
I would just like to clarify. Did you say that you want to have a meeting with our CEO on May 3, between 5 to 5:30 PM at the Plaza Hotel?
Best regards,
Jane Doe
Try and familiarize these phrases or sentences. Hopefully, these will help you understand your telephone conversations better, so you don’t need to be nervous about speaking on the phone.